Adoption: Family By Love and By Law
These records of crystals were left in the entry by mistake.
~~~
A geometry-optimized ScUCo structure. Source: OQMD, functional PBE.

a b c (Å): 6.088 6.088 6.088
angles (deg): 90.00 90.00 90.00
Positions (direct):
Sc (0.000, 0.000, 0.000)
Sc (0.000, 0.500, 0.500)
Sc (0.500, 0.000, 0.500)
Sc (0.500, 0.500, 0.000)
U (0.250, 0.250, 0.750)
U (0.250, 0.750, 0.250)
U (0.750, 0.250, 0.250)
U (0.750, 0.750, 0.750)
Co (0.000, 0.000, 0.500)
Co (0.000, 0.500, 0.000)
Co (0.500, 0.000, 0.000)
Co (0.500, 0.500, 0.500)

Values from the calculation:
Total magnetic moment in μB per cell: 0.42
Calculated total energy in eV per cell: -88.70
SG: F-43m, No. 216
E above lowest polymorph in meV/atom: 568

A geometry-optimized MgAlFeW structure. Source: OQMD, functional PBE.

a b c (Å): 6.217 6.217 6.217
angles (deg): 90.00 90.00 90.00
Positions (direct):
Mg (0.000, 0.000, 0.000)
Mg (0.000, 0.500, 0.500)
Mg (0.500, 0.000, 0.500)
Mg (0.500, 0.500, 0.000)
Al (0.000, 0.000, 0.500)
Al (0.000, 0.500, 0.000)
Al (0.500, 0.000, 0.000)
Al (0.500, 0.500, 0.500)
Fe (0.250, 0.250, 0.750)
Fe (0.250, 0.750, 0.250)
Fe (0.750, 0.250, 0.250)
Fe (0.750, 0.750, 0.750)
W (0.250, 0.250, 0.250)
W (0.250, 0.750, 0.750)
W (0.750, 0.250, 0.750)
W (0.750, 0.750, 0.250)

Values from the calculation:
Total magnetic moment in μB per cell: 14.41
Calculated total energy in eV per cell: -99.28
SG: F-43m, No. 216
E above lowest polymorph in meV/atom: 199

A geometry-optimized NaReAuO3 structure. Source: OQMD, functional PBE.

a b c (Å): 10.325 2.772 10.861
angles (deg): 90.00 90.00 90.00
Positions (direct):
Na (0.228, 0.250, 0.128)
Na (0.272, 0.750, 0.628)
Na (0.728, 0.250, 0.372)
Na (0.772, 0.750, 0.872)
Re (0.038, 0.750, 0.394)
Re (0.462, 0.250, 0.894)
Re (0.538, 0.750, 0.106)
Re (0.962, 0.250, 0.606)
Au (0.060, 0.750, 0.908)
Au (0.440, 0.250, 0.408)
Au (0.560, 0.750, 0.592)
Au (0.940, 0.250, 0.092)
O (0.061, 0.750, 0.702)
O (0.141, 0.250, 0.499)
O (0.168, 0.750, 0.283)
O (0.332, 0.250, 0.783)
O (0.359, 0.750, 0.999)
O (0.439, 0.250, 0.202)
O (0.561, 0.750, 0.798)
O (0.641, 0.250, 0.001)
O (0.668, 0.750, 0.217)
O (0.832, 0.250, 0.717)
O (0.859, 0.750, 0.501)
O (0.939, 0.250, 0.298)

Values from the calculation:
Total magnetic moment in μB per cell: 0.05
Calculated total energy in eV per cell: -153.16
SG: Pnma, No. 62
~~~
The entry goes on.
Imagine a world where apartheid still divides South Africa. Where rock and roll is a musical oddity. Where flip phones are the most advanced way to communicate. This is just a taste of what the world might look like today without the adoption of Nelson Mandela, Bo Diddley, Steve Jobs, and millions of other children worldwide. And it’s one of the reasons why placing a child in the arms of a loving set of parents – related by choice, though not by birth – is one of our firm’s most distinct privileges.
Who Can Adopt?
Any adult over 21 may be eligible to adopt in Texas, including singles and married couples. However, final approval to be an adoptive parent depends on a number of factors, including:
- Your motivation for wanting to adopt
- You financial stability
- Your physical, mental, and emotional health
- Your childhood
- Your feelings about your own parents
- Any history of abuse or neglect
- The status of your current family relationships, including your relationship with your spouse or significant other and any children already living in your home
- Your opinions on discipline
- Your sensitivity toward birth families
- Your sensitivity toward abused or neglected children
- Your sensitivity toward socioeconomic, ethnic, cultural differences and ability to a child with such differences maintain his or her own ethnic identity.
Such determinations are made by the Texas Department of Family and Protective Services (DFPS) through a “Home Study,” which is also known as a Pre-adoptive Home Screening. In addition to family and non-family references and background checks, the results of the home study is one of the key factors in being approved as an adoptive family. Once you have been approved by the DFPS, you will need to attend training courses, during which time you can be put on the wait list for an adoptive child
Why Do I Need An Adoption Attorney?
Adoption is not as easy as simply wanting a child or even being qualified to have a child. There is much paperwork involved, and the process can be complex, particularly if the child’s parents have not yet terminated their rights. Our office generally prefers to work with cases in which both parents voluntarily relinquish the right to their children; however even when both parents are willing, they must go through the process of terminating their parental rights through the courts, who are usually reluctant to process such a request until adoptive parents are waiting for the child. Such legal procedures go most smoothly with an experienced attorney who is familiar with the adoptive process.
Different types of adoption also may require processing different types and amounts of paperwork and adhering to different laws during the adoptive process. For example international, domestic, open, closed, public and private adoptions all follow different pathways toward helping a child join your family, as do adoptions involving unknown fathers, active duty members, children with Indian bloodlines, or children who will be crossing state lines. It’s essential to work with someone who has an intimate knowledge of state and federal law in regards to who can be adopted, when, and how to ensure that the adoption goes smoothly and without contest.
Legal Help For Your Adoption
If you are considering adoption, we at the Law Office of Wendy L. Hart congratulate you! This is truly one of the bright spots in our practice. The joy we receive by bringing a family together is only exceeded by the joy of the new family that is now together forever by love and by law.
Call us today to get your adoption underway at (817) 842-2336.